Source
/*
This record from the Materials Project describes a geometry-optimized Dy2PdRu structure. The functional is PBE-GGA.

a = 6.9154 Å, b = 6.9154 Å, c = 6.9154 Å
α = 90.00°, β = 90.00°, γ = 90.00°
Last column: nearest neighbours and their distance in Å.
Space group Fm-3m (No. 225)
Unique sites:
Dy (0.2500, 0.2500, 0.2500)  4 Ru 2.99, 4 Pd 2.99
Pd (0.0000, 0.0000, 0.0000)  8 Dy 2.99
Ru (0.0000, 0.0000, 0.5000)  8 Dy 2.99

Output
E_form, eV/atom: -0.65

=====

--- w ---
MgBi2O4: optimized geometry, PBE-GGA.

Calculated density: 7.6 g cm⁻³
Total magnetic moment: 0.00 μB per formula unit

a = 13.4353 Å, b = 3.3996 Å, c = 10.4668 Å
α = 90.00°, β = 112.62°, γ = 90.00°
Closest atoms and distances in Å follow each position.
Space group C2/m (No. 12)
Unique sites:
1 Mg 0.2381 0.0000 0.2440  6 O 2.07-2.26
2 Bi 0.1157 0.5000 0.4164  3 O 2.18-2.25
3 Bi 0.1176 0.0000 0.8934  3 O 2.20-2.23
4 O 0.0917 0.0000 0.2674  1 Mg 2.07, 2 Bi 2.25
5 O 0.1055 0.5000 0.7502  1 Mg 2.08, 2 Bi 2.23
6 O 0.2167 0.5000 0.1002  1 Bi 2.20, 2 Mg 2.21
7 O 0.2285 0.0000 0.6028  1 Bi 2.18, 2 Mg 2.26


--- x ---
MgBi2O4: optimized geometry, PBE-GGA.

Calculated density: 7.1 g cm⁻³
Total magnetic moment: 0.00 μB per formula unit

a = 6.8414 Å, b = 11.3131 Å, c = 6.1002 Å
α = 90.00°, β = 90.00°, γ = 90.00°
Closest atoms and distances in Å follow each position.
Space group Pmmn (No. 59, origin choice 2)
Unique sites:
1 Mg 0.2500 0.2500 0.0345  2 O 2.11
2 Mg 0.2500 0.7500 0.3600  2 O 2.02
3 Bi 0.0000 0.0000 0.5000  6 O 2.30-2.57
4 Bi 0.2500 0.5410 0.9939  3 O 2.21-2.27
5 O 0.0127 0.6289 0.1776  2 Bi 2.21-2.45, 1 Mg 2.40
6 O 0.2500 0.1038 0.2506  1 Mg 2.11, 1 Bi 2.27
7 O 0.2500 0.6253 0.5979  1 Mg 2.02


w is favored, and the nearest alternative lies 0.291 eV/atom above it.


--- w ---
Sr2CaI6: optimized geometry, PBE-GGA.

Calculated density: 4.2 g cm⁻³
Total magnetic moment: 0.00 μB per formula unit

a = 8.6385 Å, b = 15.4732 Å, c = 11.5156 Å
α = 90.00°, β = 97.05°, γ = 90.00°
Closest atoms and distances in Å follow each position.
Space group C2/c (No. 15)
Unique sites:
1 Sr 0.0413 0.1596 0.0409  6 I 3.27-3.40
2 Ca 0.0000 0.4538 0.7500  6 I 3.21-3.57
3 I 0.1022 0.3727 0.0391  2 Sr 3.34-3.36, 1 Ca 3.57
4 I 0.1707 0.0348 0.6442  1 Ca 3.21, 2 Sr 3.27-3.37
5 I 0.2435 0.3038 0.6964  1 Ca 3.24, 2 Sr 3.36-3.40


--- x ---
Sr2CaI6: optimized geometry, PBE-GGA.

Calculated density: 4.3 g cm⁻³
Total magnetic moment: 0.00 μB per formula unit

a = 7.6585 Å, b = 8.4912 Å, c = 13.8704 Å
α = 90.00°, β = 122.85°, γ = 90.00°
Closest atoms and distances in Å follow each position.
Space group P2_1/c (No. 14)
Unique sites:
1 Sr 0.2014 0.1075 0.2524  6 I 3.31-3.51
2 Ca 0.5000 0.0000 0.0000  6 I 3.09-3.14
3 I 0.0948 0.1806 0.9244  1 Ca 3.09, 2 Sr 3.33-3.42
4 I 0.2568 0.6819 0.9323  1 Ca 3.12, 1 Sr 3.36
5 I 0.3992 0.0469 0.7502  1 Ca 3.14, 2 Sr 3.31-3.35


x is favored, and the nearest alternative lies 0.065 eV/atom above it.


--- w ---
Sc: optimized geometry, PBE-GGA.

Calculated density: 3.2 g cm⁻³
Total magnetic moment: 0.01 μB per formula unit

a = 10.8830 Å, b = 5.0005 Å, c = 6.4014 Å
α = 90.00°, β = 125.97°, γ = 90.00°
Closest atoms and distances in Å follow each position.
Space group C2/c (No. 15)
Unique sites:
1 Sc 0.0000 0.0005 0.2500  14 Sc 3.20-3.39
2 Sc 0.1668 0.4807 0.1643  7 Sc 2.90-3.24


--- x ---
Sc: optimized geometry, PBE-GGA.

Calculated density: 2.8 g cm⁻³
Total magnetic moment: 0.95 μB per formula unit

a = 2.9894 Å, b = 2.9894 Å, c = 2.9894 Å
α = 90.00°, β = 90.00°, γ = 90.00°
Closest atoms and distances in Å follow each position.
Space group Pm-3m (No. 221)
Unique sites:
1 Sc 0.0000 0.0000 0.0000  6 Sc 2.99


w is favored, and the nearest alternative lies 0.653 eV/atom above it.


--- w ---
LiNb2Te4Cl10O: optimized geometry, PBE-GGA.

Calculated density: 3.1 g cm⁻³
Total magnetic moment: 0.97 μB per formula unit

a = 6.9671 Å, b = 8.9770 Å, c = 9.5808 Å
α = 81.10°, β = 88.56°, γ = 74.53°
Closest atoms and distances in Å follow each position.
Space group P1 (No. 1)
*/

Wanted
Please return the lines further up from the one with "12)" to the one with "6.4014" without additions.

Solution
Space group C2/m (No. 12)
Unique sites:
1 Mg 0.2381 0.0000 0.2440  6 O 2.07-2.26
2 Bi 0.1157 0.5000 0.4164  3 O 2.18-2.25
3 Bi 0.1176 0.0000 0.8934  3 O 2.20-2.23
4 O 0.0917 0.0000 0.2674  1 Mg 2.07, 2 Bi 2.25
5 O 0.1055 0.5000 0.7502  1 Mg 2.08, 2 Bi 2.23
6 O 0.2167 0.5000 0.1002  1 Bi 2.20, 2 Mg 2.21
7 O 0.2285 0.0000 0.6028  1 Bi 2.18, 2 Mg 2.26


--- x ---
MgBi2O4: optimized geometry, PBE-GGA.

Calculated density: 7.1 g cm⁻³
Total magnetic moment: 0.00 μB per formula unit

a = 6.8414 Å, b = 11.3131 Å, c = 6.1002 Å
α = 90.00°, β = 90.00°, γ = 90.00°
Closest atoms and distances in Å follow each position.
Space group Pmmn (No. 59, origin choice 2)
Unique sites:
1 Mg 0.2500 0.2500 0.0345  2 O 2.11
2 Mg 0.2500 0.7500 0.3600  2 O 2.02
3 Bi 0.0000 0.0000 0.5000  6 O 2.30-2.57
4 Bi 0.2500 0.5410 0.9939  3 O 2.21-2.27
5 O 0.0127 0.6289 0.1776  2 Bi 2.21-2.45, 1 Mg 2.40
6 O 0.2500 0.1038 0.2506  1 Mg 2.11, 1 Bi 2.27
7 O 0.2500 0.6253 0.5979  1 Mg 2.02


w is favored, and the nearest alternative lies 0.291 eV/atom above it.


--- w ---
Sr2CaI6: optimized geometry, PBE-GGA.

Calculated density: 4.2 g cm⁻³
Total magnetic moment: 0.00 μB per formula unit

a = 8.6385 Å, b = 15.4732 Å, c = 11.5156 Å
α = 90.00°, β = 97.05°, γ = 90.00°
Closest atoms and distances in Å follow each position.
Space group C2/c (No. 15)
Unique sites:
1 Sr 0.0413 0.1596 0.0409  6 I 3.27-3.40
2 Ca 0.0000 0.4538 0.7500  6 I 3.21-3.57
3 I 0.1022 0.3727 0.0391  2 Sr 3.34-3.36, 1 Ca 3.57
4 I 0.1707 0.0348 0.6442  1 Ca 3.21, 2 Sr 3.27-3.37
5 I 0.2435 0.3038 0.6964  1 Ca 3.24, 2 Sr 3.36-3.40


--- x ---
Sr2CaI6: optimized geometry, PBE-GGA.

Calculated density: 4.3 g cm⁻³
Total magnetic moment: 0.00 μB per formula unit

a = 7.6585 Å, b = 8.4912 Å, c = 13.8704 Å
α = 90.00°, β = 122.85°, γ = 90.00°
Closest atoms and distances in Å follow each position.
Space group P2_1/c (No. 14)
Unique sites:
1 Sr 0.2014 0.1075 0.2524  6 I 3.31-3.51
2 Ca 0.5000 0.0000 0.0000  6 I 3.09-3.14
3 I 0.0948 0.1806 0.9244  1 Ca 3.09, 2 Sr 3.33-3.42
4 I 0.2568 0.6819 0.9323  1 Ca 3.12, 1 Sr 3.36
5 I 0.3992 0.0469 0.7502  1 Ca 3.14, 2 Sr 3.31-3.35


x is favored, and the nearest alternative lies 0.065 eV/atom above it.


--- w ---
Sc: optimized geometry, PBE-GGA.

Calculated density: 3.2 g cm⁻³
Total magnetic moment: 0.01 μB per formula unit

a = 10.8830 Å, b = 5.0005 Å, c = 6.4014 Å